Some questions have recently been raised on the GAlist concerning my claim that wokeness is a radical development of the epistemology of resentment, which may be defined as the critique of ethical values on the basis of the moral model. In particular, Adam Katz wondered why, if this model implies perfectly symmetrical relationships on the part of all members of society, the woke apply it insistently to ascriptive categories such as race, but not in its traditional realm of application, that of the unequal distribution of material goods.

I don’t think the point of this criticism is that I am blind to this apparent anomaly, but that I have not seen the need to provide for it a theoretical justification. Differences of wealth and income are indeed “immoral” from the originary standpoint, and were the focus of John Rawls’ attempt to create a model ethic for modern societies in his Theory of Justice, where the question posed to the participants in the “original position” is essentially that of how well/badly off they would accept to be were they the least favored members of society. Like Rawls, the woke imagination too asks us to identify with those least favored, but effectively only in the mode of feeling guilty that our white privilege makes sharing their fate impossible.

Indeed, all the talk about “Marxism” today, which takes its model from the “cultural Marxism” of Gramsci and the Frankfurt School, passes a little too quickly over the economic theory that is not merely the basis but the substance of Marxism. Back in the days when I called myself a Marxist, in youthful ignorance of the horrors of Stalinism and Maoism, I was less concerned with revolution than with Marx’s theory of the evolution of capitalism into socialism. Today the woke speak much of “socialism,” but their actions and activism obey only the haziest economic ideology. Their focus on racism is only peripherally on the exploitation of blacks by whites or their relative income distribution, and obsessively on the psychological reality of “white privilege” and on “cancelling” people—such as recently NFL coach Jon Gruden, for making racially insensitive remarks.

Thus the question that requires an answer is how such “symbolic” phenomena can become the exclusive focus of groups whose wokeness I claim derives from the reciprocal equality of the originary event.

Clearly the political agenda of the woke is not really designed, as its partisans claim, to undermine “capitalism” and install “socialism,” let alone “Marxism.” The popularity of wokeness in corporate offices and university administrations is not founded on a common desire to expropriate the expropriators. On the contrary, the “expropriators” are the all-important source of the woke movement’s finances, with George Soros being far from alone in his generosity. The real point of the quasi-religion of wokeness, not necessarily from the perspective of the youthful crusaders but from that of its worldly implementers, is to impose mentally through the media, mainstream and social, and physically via administrative coercion, the reduction of moral equality to the subjective domain, where we must all examine our souls for traces of such things as white privilege, while otherwise leaving the power structure much as it was. Our sins, in a word, are in our souls, not in the world.

The source of this operation’s credibility is that, in contrast with impersonal market relations, our relationship with other individuals, although it may reflect institutional structures, is experienced on a personal, which is to say, a scenic basis. Orwell’s resentment at being a scholarship boy at Eton was a reaction, not to the greater wealth of his schoolmates, but to their supercilious behavior. Race relations considered independently of income and status under the heading of “white privilege” and “unconscious racism” deliberately situate us in an abstract “community” in which we relate to each other only as “superior” to “inferior” races, a quintessential violation of the moral model of reciprocal symmetry. How convenient for the billionaires who reproach working class whites with inherent racism while never being required to encounter those, white or black, who dine at the Olive Garden.

This is not, of course, the whole story. The ubiquity of video-capable cell-phones and the social media make it possible to publicize specific instances of apparent racial injustice that would previously have been non-events—beginning with Rodney King’s beating in 1992 and culminating in the 2020 death of George Floyd. Whether or not such events are frequent or “typical”—see, e.g., Heather Mac Donald’s—  is simply irrelevant to their apparent revelation of white sinfulness.

American politics today is at the mercy of the mob because the means of communication have made the mob their model, however different today’s mob may be from the sans-culottes of revolutionary Paris. It is populated mostly by youthful activists and financed by the class of billionaire globalists whose “leftism” is about as far from the original sense of Marxism as one can get. Traditional race hustlers such as Al Sharpton are to richly funded BLM as the one-horse shay to a Tesla.

When people remark on the breakdown in France and Germany of the traditional right-left divisions, they tend to pass over the US, where the traditional parties remain the only game in town. But although these parties remain easily recognizable as liberal-left and conservative-right, their dominant constituencies have largely switched places.

Today’s Democrats­—and Dinesh D’Souza (The Death of a Nation) traces this back to the anti-emancipation Southern Democrats of the Civil War era—are increasingly like the old British Tory party, a wealthy, “enlightened” aristocracy “protecting”—and relying on the votes of—what D’Souza calls the “plantation,” while defending the hegemony of the big (but woke!) corporations and doing business with the most undemocratic societies, China in particular. Whereas the “populist” Trump voters who dominate the Republican Party are predominantly lower middle- and working-class residents of “flyover country.”

Just a word about Kamala Harris’ recent non-Sister Souljah moment (see, which makes us realize how far we have come from Bill Clinton’s common-sense liberalism of 29 years ago. It goes without saying that a young woman’s absurd allegations of Israeli genocide have no more basis than the old blood libel about using Christian children’s blood to make matzah—or that if asked, Harris herself would reject them. But given the Jews’ eternal “white privilege,” her therapeutic reaction to the girl’s tears is what one must expect. Not the substance of the accusation, but the pain it purportedly reflects is an expression of a violated woke sense of justice, a sin against the moral model. It would have taken courage such as Harris has never shown to dare denounce this suffering as not in fact suffering at all, but cry-bullying, enlisting our sympathy against those pre-cast as victimizers.

Now that Critical Race Theory has become an established dogma, woke attention is increasingly focused on the tiny minority of transgendered people. I often wonder whether most genuine transgenders, who wish to pass for members of their chosen as opposed to given sex, identify with all this high-publicity nonsense. Whichever one’s sex, if one were really concerned to live as a member of the opposite one, I imagine that the last thing one would do would be to draw attention to the disparity. No doubt the drag queen phenomenon plays on this difference, but precisely, drag queens make no pretense of being real women. They express man’s envy of woman’s role as the sex whose bodily attributes, for reasons too obvious to mention, are, shall we say, more salient.

For some men who become transwomen (we never hear about transmen in this context), the trans phenomenon seems suspiciously akin to a particular form of crybullying, for which the point is to take on the appearance of a transvestite while obliging others to pretend not to notice. Rachel Levine, the current HHS Assistant Secretary for Health, is a particularly notable example, to whom we might oppose Caitlin Jenner, who simply asks us to forget his/her former masculinity.

In Chronicle 708 I attempted to analyze this development as blackmailing the society into rejecting the principle of biological sexuality in favor of the “true” sexuality in one’s soul, which, we should recall, is the repository of the originary conscience and its moral law.

It is particularly notable that in striking contrast to all this trans-talk, the recent pandemic of transgenderism concerns large numbers of adolescent girls who see themselves as male. But this trend remains understood as essentially a quasi-pathological development among adolescents, unlike the opposite transition, which appeals to the woke conscience. Indeed, the only concern being shown for these girls is by the non-woke, who point out the potentially disastrous consequences of carrying out “gender-replacement” treatments, including such things as breast amputation, on immature subjects.

The situation is complicated by the fact that, in Western society at least, women have not merely been prized and “protected” for their reproductive abilities, but treated with gentlemanly gallantry, as objects of desire but also of respectful care. Hence although in everyday life males are the privileged sex, in the transworld, this polarity is reversed. Men who would be women thus risk being accused of seeking to gain advantages reserved for the latter, even (heaven forbid) of seeking access to women’s spaces for nefarious purposes. Such persons have indeed been known to commit rapes in women’s prisons, and certainly often win races at women’s track meets.

VASP calculation (SCAN) on Na2InSb at its PBEsol-relaxed geometry.

The structure in CIF format:
```
data_Na2InSb
_cell_length_a 4.517
_cell_length_b 4.517
_cell_length_c 21.710
_cell_angle_alpha 90.00
_cell_angle_beta 90.00
_cell_angle_gamma 90.00
_symmetry_space_group_name_H-M 'I -4 2 d'
_symmetry_Int_Tables_number 122
_symmetry_space_group_name_Hall 'I -4 2bw'
loop_
_atom_site_label
_atom_site_fract_x
_atom_site_fract_y
_atom_site_fract_z
Na1 0.244 0.250 0.125
In1 0.000 0.000 0.500
Sb1 0.000 0.000 0.000
```

Results
DOS(E_F): 8.36 states/eV per cell
energy relative to the elements, uncorrected: -97 meV/atom



VASP calculation (SCAN) on NaScIn2 at its PBEsol-relaxed geometry.

The structure in CIF format:
```
data_NaScIn2
_cell_length_a 7.127
_cell_length_b 7.127
_cell_length_c 7.127
_cell_angle_alpha 90.00
_cell_angle_beta 90.00
_cell_angle_gamma 90.00
_symmetry_space_group_name_H-M 'F m -3 m'
_symmetry_Int_Tables_number 225
_symmetry_space_group_name_Hall '-F 4 2 3'
loop_
_atom_site_label
_atom_site_fract_x
_atom_site_fract_y
_atom_site_fract_z
Na1 0.000 0.000 0.000
Sc1 0.000 0.000 0.500
In1 0.250 0.250 0.250
```

Results
DOS(E_F): 4.81 states/eV per cell
E_form: -0.349 eV/atom



VASP calculation (SCAN) on Na3ScIn at its PBEsol-relaxed geometry.

The structure in CIF format:
```
data_Na3ScIn
_cell_length_a 5.928
_cell_length_b 5.928
_cell_length_c 5.928
_cell_angle_alpha 90.00
_cell_angle_beta 90.00
_cell_angle_gamma 90.00
_symmetry_space_group_name_H-M 'P m -3 m'
_symmetry_Int_Tables_number 221
_symmetry_space_group_name_Hall '-P 4 2 3'
loop_
_atom_site_label
_atom_site_fract_x
_atom_site_fract_y
_atom_site_fract_z
Na1 0.000 0.000 0.500
Sc1 0.000 0.000 0.000
In1 0.500 0.500 0.500
```

Results
DOS(E_F): 7.08 states/eV per cell
E_form: 0.946 eV/atom



VASP calculation (SCAN) on NaIn2Sn2 at its PBEsol-relaxed geometry.

The structure in CIF format:
```
data_NaIn2Sn2
_cell_length_a 5.122
_cell_length_b 5.122
_cell_length_c 11.426
_cell_angle_alpha 90.00
_cell_angle_beta 90.00
_cell_angle_gamma 90.00
_symmetry_space_group_name_H-M 'I 4/m m m'
_symmetry_Int_Tables_number 139
_symmetry_space_group_name_Hall '-I 4 2'
loop_
_atom_site_label
_atom_site_fract_x
_atom_site_fract_y
_atom_site_fract_z
Na1 0.000 0.000 0.000
In1 0.000 0.500 0.250
Sn1 0.000 0.000 0.377
```

Results
DOS(E_F): 3.15 states/eV per cell
offset from the most stable computed form: 0 meV/atom
E_form: -0.106 eV/atom



VASP calculation (SCAN) on NaIn2Sn2 at its PBEsol-relaxed geometry.

The structure in CIF format:
```
data_NaIn2Sn2
_cell_length_a 8.347
_cell_length_b 8.347
_cell_length_c 3.854
_cell_angle_alpha 90.00
_cell_angle_beta 90.00
_cell_angle_gamma 90.00
_symmetry_space_group_name_H-M 'P 4/m b m'
_symmetry_Int_Tables_number 127
_symmetry_space_group_name_Hall '-P 4 2ab'
loop_
_atom_site_label
_atom_site_fract_x
_atom_site_fract_y
_atom_site_fract_z
Na1 0.000 0.000 0.000
In1 0.156 0.344 0.500
Sn1 0.139 0.639 0.000
```

Results
DOS(E_F): 5.01 states/eV per cell

The non-woke may therefore suspect these transwomen of being dishonorably motivated by proximity to the more attractive sex, competition with the weaker sex… But not at all! Given the originary nature of the patriarchy, unlike whites who would pass for blacks, transwomen cannot be suspected of duplicity: each is truly a woman in her/his heart. By espousing womanhood despite the evidence of anatomy and chromosomes, the transwoman accepts the patriarchically inferior position, and must consequently be allowed to compete in women’s sports, as well as to use their toilet and shower facilities, proudly bearing, as appears often to be the case, their male genitals as a sacrificial offering to their inner femininity.

This demonstrates once more the primary objective of wokeness: the translation of “moral equality” from the objective to the subjective domain. Kamala’s sympathy for the young antisemite demonstrates the lower status of objective truth than the pain in one’s heart. How not only cruel but illusory to make the “white’ claim that there is a correct answer to a mathematics problem!

A final observation. The humiliating outrage to common sense of being forced to apologize for saying that women bear children, as opposed merely to admitting one’s white privilege, underlines an aspect of wokeness anticipated by Stalin and denounced in prescient terms in 1984: its anti-Parmenidean corruption of language.

How Orwell would have felt confirmed by learning that in our digital age, instead of having constantly to reprint texts to keep up with Newspeak, they could be instantly corrected in the “cloud.” Or that institutional forms increasingly ask for one’s “chosen” gender in addition to that of one’s birth, not infrequently including a request for one’s “pronouns.”

Has anyone pointed out that the pronouns in question being neither first nor second but third person, they can be used only in conversations with others than the interested party. Why should someone be able to dictate what pronoun I use to refer to him/her in a conversation in which he/she is not included? But that is precisely the point…

In conclusion, I cannot deny that, however much I sharpen my definition of how wokeness reflects the originary moral model, my socio-political observations are ad hoc and not based on data. In this regard, I happily, if not optimistically, support in principle Adam’s efforts to extend GA into the sociological realm by seeking to integrate originary thinking with a systems-theory approach to human institutions. (See his book review in the forthcoming issue of Anthropoetics.) The better we can assemble and process data on the interconnections among the institutions I have mentioned here, and others of which I may not be aware, the better we will understand our society and its ethical needs, and the more effective we will hopefully become at helping it through its current crisis.

Yet it remains to be seen in what measure a sharper analysis of the institutional/financial base of wokeness—as frequently documented on a journalistic level by someone like Daniel Greenfield at—would be of service to a movement seeking to rehabilitate the “Western” ethical values that still remain—but for how much longer?—the norm throughout the civilized world.